The Truth About Animal Agriculture’s Environmental Impact
== Attached: materials data ==
********
A plane-wave DFT calculation with PBE was carried out for an optimized crystal structure of SrTlV3.

Geometry as POSCAR:
```
SrTlV3
1.0
4.673 0.000 0.000
0.000 4.673 0.000
0.000 0.000 4.673
Sr Tl V
1 1 3
Cartesian
0.000 0.000 0.000
2.336 2.336 2.336
0.000 2.336 0.000
0.000 0.000 2.336
2.336 0.000 0.000
```

Output
For the volume, the calculation gives 102.0 Å³ per cell. For the polymorph energy (0 for the lowest one), the calculation gives 4.91 eV/f.u. The space group is Pm-3m, No. 221.

=====

A plane-wave DFT calculation with PBE was carried out for an optimized crystal structure of PmSm2TmMg.

Geometry as POSCAR:
```
PmSm2TmMg
1.0
5.563 0.000 0.000
0.000 6.453 1.660
0.000 2.440 9.352
Pm Sm Tm Mg
2 4 2 2
Cartesian
4.172 3.587 6.567
1.391 5.307 4.445
4.172 6.522 9.139
1.391 2.372 1.873
1.391 1.716 5.425
4.172 7.178 5.586
1.391 8.325 10.371
4.172 0.568 0.640
4.172 3.911 3.138
1.391 4.983 7.874
```

Output
For the volume, the calculation gives 313.2 Å³ per cell. The space group is P2_1/m, No. 11.

=====

Q: Which formation enthalpy at 0 K values were calculated for the entries above? A: 2.321; 0.011, in eV per atom.
Q: Which total energy values were calculated for the entries above? A: -0.14552; -0.14845, in Ha/atom.
********
Know the Facts

With climate change in the news daily, it’s difficult for consumers to know what or who to believe.
A white paper published in November by Climate Healers, a special interest group headquartered in Phoenix, AZ, painted a dire picture for animal agriculture, claiming it accounts for an estimated 87% of annual greenhouse gas (GHG) emissions. It also stated that annual methane emissions from animal agriculture caused more incremental global warming than the annual CO2 emissions from all fossil fuel sources combined.
Not so fast, says Frank Mitloehner, Ph.D., professor and air quality extension specialist at the Department of Animal Science at the University of California, Davis. He provided testimony to the U.S. Senate Committee on Agriculture, Nutrition and Forestry earlier this year to “debunk the myth” that animal agriculture poses the “greatest environmental threat to our planet.”
Mitloehner told the Senate committee:
**Materials data, kept here for reference:**
┌──
EuGaI2, relaxed, DFT GGA-PBE; formation energy without anion corrections = -750 meV per atom
1.0
4.027 0.000 0.000
0.000 4.027 0.000
0.000 0.000 8.169
Eu Ga I
1 1 2
Direct
0.000 0.000 0.000
0.000 0.000 0.500
0.500 0.500 0.232
0.500 0.500 0.768

KLiThSe3, relaxed, DFT GGA-PBE; formation energy without anion corrections = -1557 meV per atom
1.0
9.290 0.000 0.000
0.000 4.350 0.000
-2.436 0.000 9.188
K Li Th Se
2 2 2 6
Direct
0.197 0.250 0.247
0.803 0.750 0.753
0.080 0.250 0.590
0.920 0.750 0.410
0.322 0.750 0.836
0.678 0.250 0.164
0.126 0.250 0.870
0.201 0.750 0.531
0.458 0.750 0.160
0.542 0.250 0.840
0.799 0.250 0.469
0.874 0.750 0.130

Gd3CCl3, relaxed, DFT GGA-PBE; formation energy without anion corrections = -1544 meV per atom
1.0
-5.420 5.420 5.420
5.420 -5.420 5.420
5.420 5.420 -5.420
Gd C Cl
12 4 12
Direct
0.018 0.036 0.268
0.018 0.482 0.750
0.036 0.268 0.018
0.232 0.268 0.750
0.232 0.464 0.482
0.268 0.018 0.036
0.268 0.750 0.232
0.464 0.482 0.232
0.482 0.232 0.464
0.482 0.750 0.018
0.750 0.018 0.482
0.750 0.232 0.268
0.000 0.250 0.500
0.250 0.250 0.250
0.250 0.500 0.000
0.500 0.000 0.250
0.250 0.757 0.743
0.250 0.993 0.507
0.507 0.250 0.993
0.507 0.757 0.513
0.513 0.507 0.757
0.743 0.250 0.757
0.743 0.993 0.987
0.757 0.513 0.507
0.757 0.743 0.250
0.987 0.743 0.993
0.993 0.507 0.250
0.993 0.987 0.743

Tl2AgI2, relaxed, DFT GGA-PBE; formation energy without anion corrections = -154 meV per atom; E above lowest polymorph = 0 meV per atom
1.0
8.267 0.000 0.000
0.000 8.267 0.000
0.000 0.000 5.386
Tl Ag I
4 2 4
Direct
0.146 0.354 0.000
0.354 0.854 0.000
0.646 0.146 0.000
0.854 0.646 0.000
0.000 0.000 0.500
0.500 0.500 0.500
0.178 0.678 0.500
0.322 0.178 0.500
0.678 0.822 0.500
0.822 0.322 0.500

TlOsRu2, relaxed, DFT GGA-PBE; E above lowest polymorph = 580 meV per atom
1.0
-3.646 3.646 2.758
3.646 -3.646 2.758
3.646 3.646 -2.758
Tl Os Ru
2 2 4
Direct
0.000 0.000 0.000
0.750 0.250 0.500
0.250 0.750 0.500
0.500 0.500 0.000
0.176 0.125 0.551
0.375 0.824 0.949
0.574 0.625 0.449
0.875 0.426 0.051

AlTlTe2, relaxed, DFT GGA-PBE; formation energy without anion corrections = -18 meV per atom
1.0
3.262 0.000 0.000
0.000 5.755 0.000
-1.547 0.000 6.508
Al Tl Te
1 1 2
Direct
0.000 0.000 0.000
0.325 0.500 0.632
0.058 0.500 0.106
0.801 0.000 0.579

Ac8Rh5Au, relaxed, DFT GGA-PBE; energy = -5.865 eV/atom
1.0
-4.736 4.736 4.645
4.736 -4.736 4.645
4.736 4.736 -4.645
Ac Rh Au
8 5 1
Direct
0.012 0.389 0.254
0.125 0.268 0.748
0.134 0.757 0.746
0.243 0.988 0.377
0.521 0.377 0.252
0.611 0.866 0.623
0.623 0.875 0.144
0.732 0.479 0.856
0.240 0.628 0.119
0.372 0.491 0.612
0.509 0.121 0.881
0.750 0.250 0.500
0.879 0.760 0.388
0.000 0.000 0.000

ScCo2Mo, relaxed, DFT GGA-PBE; energy = -7.769 eV/atom
1.0
-1.376 2.150 4.785
1.376 -2.150 4.785
1.376 2.150 -4.785
Sc Co Mo
1 2 1
Direct
0.000 0.000 0.000
0.273 0.773 0.500
0.482 0.482 0.000
0.712 0.212 0.500

Sm2DyTl2Hg2, relaxed, DFT GGA-PBE; energy = -2.952 eV/atom
1.0
2.506 1.447 8.954
-2.506 1.447 8.954
0.000 -2.894 8.954
└──
- Based on information from the U.S. Environmental Protection Agency, agriculture as a whole contributes 9% of the total US GHG emissions, while animal agriculture contributes only 3.9%1
- Food waste is the largest contributing factor to agriculture’s carbon and overall environmental footprint with 40% of food produced in the United States going to landfills2
- Agriculture’s GHG emissions pale in comparison to transportation at 29%, electricity at 28% and industry at 22%1
- According to Dr. Mitloehner’s testimony, the United Nations Food and Agriculture’s statistical database shows the total direct greenhouse gas emissions from U.S. livestock have declined 11.3% since 1961, while livestock production has more than doubled2
- These efficiencies in U.S. animal agriculture mean less land and water is being used to produce the same amount of beef compared to 1970 and the same amount of pork as 19602
“Sustainability, careful stewardship of natural resources and continuous improvement are priorities for farmers – and for us in animal Health,” said Judson Vasconcelos, head, Veterinary and Consumer Affairs, Merck Animal Health. “Transition is a process and over the past 20-50 years, significant progress has been made in agriculture. Our social responsibilities extend beyond our primary business goals and include support of sustainable farming practices and our customers as they continuously improve.”
It’s important to note that a beef sustainability research report funded by the Beef Checkoff, reminds us that cattle have a specialized stomach that converts forages of little value to high quality protein. “The U.S. beef cattle industry provides more than two times the high-quality protein (accounting for amino acid profile and bioavailability) to the U.S. food supply than cattle consume: cattle directly contribute to food security,” states the report3.
Check this out: A Sustainable Food Supply in Perspective
1. United States Environmental Protection Agency (EPA). Greenhouse Gas Emissions. Sources of Greenhouse Gas Emissions. Total U.S. Greenhouse Gas Emissions by Economic Sector in 2017. 2019. Accessed November 20, 2019.
2. University of California, Davis. Mitloehner, F. Testimony before the Committee on Agriculture, Nutrition and Forestry U.S. Senate. May 21, 2019. Accessed November 20, 2019.
3. Baber, J.R. et al. Estimation of human-edible protein conversion efficiency, net protein contribution, and enteric methane production from beef production in the United States. Trans. Anim. Sci. 2018. 2:439-450.